Here starts a series of articles to set up a routing web application (route
calculation) completely autonomous, ie using no web service or API for
calculating the route.
We will set up the database including the route network (or fluvial, etc.) with
Postgresql, then we will set up a wms flow with Geoserver, and finally we will
develop a calculation page with OpenLayers 3. All using Windows .
In this first article we will discuss the setting up of the network
You will need to have an operational installation of PostreSQL / Postgis. If
this is not the case, refer to the article Starting with PostgreSQL / Postgis.
Pgrouting installation
For routing calculations, we will use the Postgis pgrouting extension. It
is installed, in theory, with the new Postgis versions. To be on the safe side,
open pgAdmin III and run the following SQL query:
SELECT pgr_version ();
You must have a result like this:

If pgrouting is not installed:
- Download the zipped pgRouting file zip file for your system (32 or 64
bit) from Winnie . - Unzip the
file. You will find three directories: bin, lib and share folders and two text
files. - Copy
these files and directories into the directory of your Postgres installation
(in my case C: \
Programs \ PostgreSQL \ 9.5 ) - In
pgAdmin III select your Postgis database and run the following SQL query:
Check with the following query that the installation has been completed
SELECT pgr_version ();
If the version you have is
not the last (2.2.3), download and update your version. The whole series of
these articles is achieved with this version and be aware that the syntax of
many pgrouting commands has been modified. If
you try to run the queries shown here with older versions you risk error
messages like this:

Setting up the data
We will take the simplest case, but if you already have a network
database, you will need to take inspiration from this example to do the necessary
adaptation for its use with pgrouting.
In our case, we will download openStreetMap data from Brittany.
We download them from Geofabrik (
You have several available formats (osm, shp, pbf). Whichever your
choice, there will be work to be done to make the data usable once loaded into
your Postgis database. The format that gives the least work and the best final
results is the osm .In addition, there is a tool (osm2pgrouting) that allows
the loading and creation of the topology in, just, one path.
How to import the OSM data with osm2pgrouting
In the latest Postgis versions, this tool is installed automatically. Check
that the C: \ Program Files \ PostgreSQL \ 9.5 \ bin \ osm2pgrouting.exe file
is present in your installation.
If this is not the case, download the tool version corresponding to your
installation from winnie. Unzip the file and follow the installation
instructions included in the osm2pgrouting_Readme.txt file.
To simplify your command lines, add the \ Program Files \ PostgreSQL \
9.5 \ bin directory to your PATH environment variable.
To use the tool you will need to open a prompts command window.
To get the complete syntax of the tool you can enter
osm2pgrouting.exe -help
The essential elements to launch the tool:
- the name of the osm file to be loaded
( bretagne-latest.osm ) - the name of the postgis database
( postgis_22_sample ) - the listening port of your
Postgresql installation ( 5432 ) - the name of the host ( localhost )
- the name of the config xml file:
two files are provided with mapconfig.xml (generic) and mapconfif_for_cars.xml (for cars)
Here is an example of a command line
osm2pgrouting.exe -clean = 1 -f bretagne-latest.osm -d postgis_22_sample
-p 5432 -h localhost -c mapconfig_for_cars.xml
The clean parameter= 1 indicates to overwrite
existing tables. This command loads data into multiple tables, but also
generates the corresponding topology. For pgrouting the base table is the ways
table and the topology created the ways_vertices_pgr table .

the command is executed, you will find a series of new tables in your database

The only tables you will use for your routing application are ways
(linear network) and ways_vertices_pg r (network nodes).
How to import the data without osm2pgrouting
If you download the Geofabrik data in shapefile format or if you have
data with this format, it’s a bit lengthier.
You must start by loading your shapefile including the linear network
into your PostgreSQL / Postgis database. If necessary, relaunch your data in
Geographic WGS84 because all pgrouting routing tools work on latitude /
longitude data.
Refer to the article Starting with PostgrSQL / Postgis -Introduction to pgAdmin3
for loading a shape into Postgis.
The created table corresponds to the ways table from the
previous chapter. Therefore, it is necessary to create the nodes table( ways_vertices_pg
r) through the generation of the network topology. In order to make the following
simpler, we will consider that you named your table ways and that
you placed it in the public database .
This is executed by the SQL command pgr_createTopology . But
this command assumes that your table contains two columns named source
and target .
Here are the commands to enter in the pgAdmin
III SQL window.

The value 0.00001 is equivalent to the tolerance in degrees, geom
to the name of the geometry field and gid to the table identifier field.
At the exit of this command you will find the table ways_vertices_pg
r in your PostgreSQL database.
How to validate your data in Postgis
In an ideal world, you could go directly to setting up your data server with
Geoserver. But, there is a good chance that things will not work out properly
We will discuss the most common problems, letting you discover by yourself
a lot of additional problems!
Firstly, we will use QGis to test our database and the operation of
different routing algorithms.
Pgrouting tests with QGis
You will will start by connecting with your Postgis database and loading the ways
layer :

run the pgrouting sql commands on your database, from QGis, open the Database

select your Postgis database from the databases list, and open a SQL window

It is in this upper window that we will enter the pgrouting sql
The lower window will list the table records resulting from the sql
By checking the box on the bottom Load as new layer , we will
load the result in the QGis map window.

The SQL command corresponds to the route search in pgrouting using the
algorithm A *, starting from node 69072 and arriving to node 64204
The Run button sends the command to the Postgres database and
retrieves the number of lines (30 lines in this example) corresponding to the
route and displays in the bottom window these lines in the order for the route.
If we now ask to load the layer in QGis, it is the data of this lower
window that will be displayed in the map window.
Problem: There is no geometry column in the result. We will not be able
to view the route as a layer.
To get around this problem, we will add the geometry in the command
results. It’s a little complicated to explain, so let’s go straight to discuss
how to do it:
We will make a join between the algorithm pgr_astar result (…) (All
that is in parentheses are the algorithm parameters), which does not return in
the result the geometries but only nodes identifiers (edges) , and the node table,
then with the ways table:
SELECT seq, id1 AS node, id2 AS edge, the_geom
FROM pgr_astar (‘SELECT gid as id, source, target, cost, x1, y1, x2, y2 FROM
public.ways’, 69072, 64204, false, false) as res
JOIN public.ways ways_vertices_pgr
ON res.id2 = ways_vertices_pgr.gid;
In short, we look for the node corresponding to
the edge of the result and we recover the linear section which is joined to it
by the topology. Now we can add in the result fields of the selected field the_geom which will allow us to trace
the result in QGis.

To load the layer in QGis, select the Load
as new layer checkbox , select the geometry field, and click the Load
button .

== What comes next are records of crystals, not part of the piece ==
........
First-principles (PBE with a Hubbard U) data for a relaxed structure of KAlCr2O10, as listed in the Materials Project database.

Values from the calculation:
The total magnetization comes out at 4.00 μB/f.u.

a b c (Å): 11.0353 5.4714 7.8958
angles (deg): 90.00 108.82 90.00
Space group C2/m (No. 12)
One atom of each set of equivalent atoms:
K  0.0000  0.0000  0.0000 [2 per cell]
Al  0.0000  0.0000  0.5000 [2 per cell]
Cr  0.1167  0.5000  0.7727 [4 per cell]
O  0.0313  0.2400  0.6806 [8 per cell]
O  0.1374  0.5000  0.9849 [4 per cell]
O  0.1785  0.0000  0.5836 [4 per cell]
O  0.2465  0.0000  0.2588 [4 per cell]



First-principles (PBE with a Hubbard U) data for a relaxed structure of K6MgFe2O6, as listed in the Materials Project database.

Values from the calculation:
The total magnetization comes out at 8.00 μB/f.u.

a b c (Å): 6.2736 7.0278 7.1295
angles (deg): 115.96 91.65 93.40
Space group P1 (No. 1)
One atom of each set of equivalent atoms:
K  0.0000  0.0000  0.0000 [1 per cell]
K  0.0113  0.5472  0.4947 [1 per cell]
K  0.3714  0.3159  0.7534 [1 per cell]
K  0.4974  0.0381  0.0327 [1 per cell]
K  0.5134  0.5878  0.4822 [1 per cell]
K  0.8027  0.1444  0.6029 [1 per cell]
Mg  0.6392  0.6289  0.0790 [1 per cell]
Fe  0.0164  0.5496  0.0504 [1 per cell]
Fe  0.2089  0.9291  0.3870 [1 per cell]
O  0.2639  0.1967  0.3672 [1 per cell]
O  0.2706  0.9178  0.6531 [1 per cell]
O  0.3235  0.6483  0.1141 [1 per cell]
O  0.7670  0.5998  0.8150 [1 per cell]
O  0.7801  0.3517  0.0533 [1 per cell]
O  0.8762  0.8118  0.2799 [1 per cell]



First-principles (PBE with a Hubbard U) data for a relaxed structure of Dy5Mo2O12, as listed in the Materials Project database.

a b c (Å): 12.3769 5.7683 7.5888
angles (deg): 90.00 108.04 90.00
Space group C2/m (No. 12)
One atom of each set of equivalent atoms:
Dy  0.0000  0.0000  0.0000 [2 per cell]
Dy  0.1858  0.5000  0.3215 [4 per cell]
Dy  0.1950  0.5000  0.8612 [4 per cell]
Mo  0.0000  0.2189  0.5000 [4 per cell]
O  0.9997  0.5000  0.3170 [4 per cell]
O  0.0005  0.0000  0.2937 [4 per cell]
O  0.1552  0.2520  0.0753 [8 per cell]
O  0.1648  0.2556  0.5841 [8 per cell]



First-principles (PBE with a Hubbard U) data for a relaxed structure of MgMn6O8F4, as listed in the Materials Project database.

Values from the calculation:
The total magnetization comes out at 24.00 μB/f.u. The excess energy over the best structure of this formula in the dataset is 99 meV per atom.

a b c (Å): 5.1252 5.1741 8.8862
angles (deg): 89.34 88.85 81.70
Space group P1 (No. 1)
One atom of each set of equivalent atoms:
Mg  0.0000  0.0000  0.0000 [1 per cell]
Mn  0.0592  0.5471  0.6533 [1 per cell]
Mn  0.0744  0.5073  0.0093 [1 per cell]
Mn  0.4984  0.9583  0.1710 [1 per cell]
Mn  0.5221  0.9351  0.4988 [1 per cell]
Mn  0.5271  0.9126  0.8175 [1 per cell]
Mn  0.9075  0.4118  0.3220 [1 per cell]
O  0.1399  0.2275  0.1570 [1 per cell]
O  0.3551  0.7588  0.6595 [1 per cell]
O  0.3552  0.7798  0.0014 [1 per cell]
........
== End of the records of crystals ==

Now that we have discussed how to test our database, we will discuss the
main algorithms proposed by pgrouting, and which changes in the data must be
made in order to work properly … but all this in the next article.